**Brief:**
Please set down the calculation results underneath from the first line to the one with "species" with every line break kept.

**File:**
'''
{
  "formula": "C20H42InN2O4",
  "method": "ωB97M-V/def2-TZVPD",
  "species": ["In", "O", "C", "C", "O", "H", "H", "H", "H", "C", "C", "C", "C", "C", "C", "N", "O", "C", "C", "C", "H", "H", "H", "H", "H", "H", "H", "H", "H", "H", "H", "H", "H", "H", "H", "H", "H", "H", "H", "C", "C", "C", "C", "C", "C", "N", "O", "C", "C", "C", "H", "H", "H", "H", "H", "H", "H", "H", "H", "H", "H", "H", "H", "H", "H", "H", "H", "H", "H"],
  "xyz": [[-1.22724, 0.28868, -1.91584], [-3.98797, -0.01405, -2.62027], [-4.51809, 0.18288, -1.50830], [-4.09104, 1.65667, -0.72484], [-2.86379, 1.87692, -0.86164], [-4.23007, -0.59402, -0.76985], [-5.61650, 0.04534, -1.59432], [-4.24945, 1.29579, 0.30836], [-4.75233, 2.50117, -0.95483], [-2.05474, -2.44230, 1.27721], [-1.86743, -1.48585, 2.45187], [-1.28223, -2.28929, 3.60535], [-0.86390, -1.45846, 4.80740], [0.10146, -0.35511, 4.36869], [-0.29132, 0.44370, 3.10210], [-0.95394, -0.41431, 2.12174], [-1.41606, 0.28647, 0.97667], [-1.09348, 1.68666, 3.53589], [0.98033, 0.93937, 2.42764], [-3.29266, -1.00940, 2.87345], [-1.12951, -2.46009, 0.68338], [-2.83523, -2.14092, 0.57152], [-2.23296, -3.49388, 1.50074], [-1.99641, -3.04665, 3.94349], [-0.44716, -2.89753, 3.23450], [-0.43131, -2.06140, 5.60172], [-1.78665, -1.00170, 5.17994], [1.02291, -0.84728, 4.04708], [0.20809, 0.33393, 5.20275], [-1.37635, 2.38001, 2.73648], [-1.99476, 1.26490, 3.99187], [-0.55670, 2.34797, 4.21349], [1.64645, 0.11595, 2.15736], [0.75990, 1.40871, 1.46422], [1.51655, 1.71234, 2.97987], [-3.99551, -1.83536, 2.97027], [-3.69178, -0.23050, 2.22235], [-3.19093, -0.64034, 3.89481], [-2.20902, 0.74300, 1.29398], [1.40985, -1.38590, -0.68348], [2.28051, -0.62972, -1.67966], [2.27416, -1.53672, -2.94085], [2.85621, -0.87052, -4.18668], [2.11085, 0.45813, -4.38252], [2.06152, 1.42862, -3.23799], [1.67102, 0.65170, -2.04840], [1.38716, 1.46550, -0.91573], [3.45689, 2.09761, -3.05263], [1.02467, 2.50256, -3.54750], [3.71268, -0.50012, -1.19216], [0.45933, -1.67087, -1.15321], [1.15994, -0.75945, 0.17456], [1.88571, -2.31657, -0.38455], [3.02420, -2.28006, -2.65422], [1.31599, -2.00249, -3.15638], [2.53608, -1.39615, -5.08892], [3.94396, -0.82896, -4.21350], [1.11173, 0.06477, -4.66504], [2.20842, 0.91662, -5.37468], [3.37213, 3.17860, -2.93716], [3.97061, 1.71815, -2.17594], [4.08766, 1.89217, -3.91553], [0.08453, 2.11059, -3.94655], [0.85165, 3.29241, -2.82094], [1.48120, 3.00767, -4.40848], [4.12537, -1.47357, -0.91163], [3.86699, 0.26295, -0.43078], [4.42963, -0.27730, -1.98975], [2.13018, 2.08833, -0.87597]],
'''

**Response:**
{
  "formula": "C20H42InN2O4",
  "method": "ωB97M-V/def2-TZVPD",
  "species": ["In", "O", "C", "C", "O", "H", "H", "H", "H", "C", "C", "C", "C", "C", "C", "N", "O", "C", "C", "C", "H", "H", "H", "H", "H", "H", "H", "H", "H", "H", "H", "H", "H", "H", "H", "H", "H", "H", "H", "C", "C", "C", "C", "C", "C", "N", "O", "C", "C", "C", "H", "H", "H", "H", "H", "H", "H", "H", "H", "H", "H", "H", "H", "H", "H", "H", "H", "H", "H"],